File
No. 1
The following is a computed powder XRD pattern of Ti2Re4W. It was derived from a cell relaxed with PBE, using a wavelength of 1.5418 Å.

The 6 most intense peaks (2θ = 10–80°), sorted by position:
2θ (°), I_rel, hkl
20.45, 22, 1 0 1
29.16, 26, 2 0 0
41.57, 100, 2 0 2
41.71, 50, 2 2 0
75.76, 17, 2 2 4
76.05, 34, 4 2 2

```
data_Ti2Re4W
_space_group_name_H-M_alt 'I 4/m m m'
_space_group_IT_number 139
_space_group_name_Hall '-I 4 2'
_cell_length_a 6.1246
_cell_length_b 6.1246
_cell_length_c 6.1637
_cell_angle_alpha 90.00
_cell_angle_beta 90.00
_cell_angle_gamma 90.00
loop_
_atom_site_label
_atom_site_type_symbol
_atom_site_fract_x
_atom_site_fract_y
_atom_site_fract_z
_atom_site_occupancy
Ti1 Ti 0.0000 0.5000 0.0000 1
Re1 Re 0.2500 0.2500 0.2500 1
W1 W 0.0000 0.0000 0.0000 1
```

***

No. 2
The following is a computed powder XRD pattern of Ti3ReW. It was derived from a cell relaxed with PBE, using a wavelength of 1.5418 Å.

The 6 most intense peaks (2θ = 10–80°), sorted by position:
2θ (°), I_rel, hkl
22.72, 27, 0 0 2
28.47, 44, 1 1 0
39.79, 27, 2 0 -1
39.90, 26, 0 2 0
40.30, 100, 1 1 2
72.67, 18, 3 1 1

```
data_Ti3ReW
_space_group_name_H-M_alt 'P 1 21/m 1'
_space_group_IT_number 11
_cell_length_a 4.5309
_cell_length_b 4.5192
_cell_length_c 8.1540
_cell_angle_alpha 90.00
_cell_angle_beta 106.24
_cell_angle_gamma 90.00
loop_
_space_group_symop_operation_xyz
'x,y,z'
'-x,-y,-z'
'-x,y+1/2,-z'
'x,-y+1/2,z'
loop_
_atom_site_label
_atom_site_type_symbol
_atom_site_fract_x
_atom_site_fract_y
_atom_site_fract_z
_atom_site_occupancy
Ti1 Ti 0.0581 0.2500 0.1162 1
Ti2 Ti 0.2495 0.2500 0.4994 1
Ti3 Ti 0.4399 0.2500 0.8797 1
Re1 Re 0.3493 0.7500 0.6995 1
W1 W 0.1460 0.7500 0.2910 1
```
What to do
The reader should say how many lines of the contents earlier on hold the word "data_Ti3ReW", as a bare number.
Response
1